[Material]
No. 1
Starting from a DFT-relaxed cell (PBE, OQMD), the PXRD pattern of Sc2Ge2PtAu was computed for Cu Ka.
Peak positions follow from Bragg's law for the DFT cell and can differ from measured ones.

Structural model:
```
Sc2Ge2PtAu
1.0
4.318 0.000 0.000
-2.159 3.739 0.000
0.000 0.000 6.820
Sc Ge Pt Au
2 2 1 1
direct
0.000 0.000 0.000
0.000 0.000 0.481
0.333 0.667 0.688
0.667 0.333 0.207
0.333 0.667 0.292
0.667 0.333 0.789
```

Top 10 peaks for 2θ = 10–90°, low angle first:
two_theta, I_rel
23.80, 35
26.13, 43
27.20, 90
35.63, 81
41.84, 100
46.76, 54
50.00, 46
56.10, 21
64.53, 21
79.92, 23

---

No. 2
Starting from a DFT-relaxed cell (PBE, OQMD), the PXRD pattern of Rb4Ge2Au7 was computed for Cu Ka.
Peak positions follow from Bragg's law for the DFT cell and can differ from measured ones.

Structural model:
```
Rb4Ge2Au7
1.0
3.334 1.925 9.616
-3.334 1.925 9.616
0.000 -3.850 9.616
Rb Ge Au
4 2 7
direct
0.184 0.184 0.184
0.311 0.311 0.311
0.689 0.689 0.689
0.816 0.816 0.816
0.046 0.046 0.046
0.954 0.954 0.954
0.277 0.277 0.705
0.277 0.705 0.277
0.295 0.723 0.723
0.500 0.500 0.500
0.705 0.277 0.277
0.723 0.295 0.723
0.723 0.723 0.295
```

Top 10 peaks for 2θ = 10–90°, low angle first:
two_theta, I_rel
15.65, 28
16.54, 73
18.45, 44
29.20, 38
31.60, 65
32.69, 66
33.43, 100
44.38, 39
51.11, 28
55.09, 36

---

No. 3
Starting from a DFT-relaxed cell (PBE, OQMD), the PXRD pattern of RbGeAu3Se4 was computed for Cu Ka.
Peak positions follow from Bragg's law for the DFT cell and can differ from measured ones.

Structural model:
```
RbGeAu3Se4
1.0
6.398 0.000 0.000
0.000 7.760 0.000
-1.898 0.000 10.688
Rb Ge Au Se
2 2 6 8
direct
0.219 0.250 0.355
0.781 0.750 0.645
0.095 0.250 0.778
0.905 0.750 0.222
0.364 0.559 0.083
0.364 0.941 0.083
0.473 0.750 0.329
0.527 0.250 0.671
0.636 0.059 0.917
0.636 0.441 0.917
0.041 0.750 0.022
0.142 0.750 0.417
0.303 0.510 0.766
0.303 0.990 0.766
0.697 0.010 0.234
0.697 0.490 0.234
0.858 0.250 0.583
0.959 0.250 0.978
```

Top 10 peaks for 2θ = 10–90°, low angle first:
two_theta, I_rel
14.09, 100
24.41, 35
27.52, 34
30.39, 25
30.92, 32
33.16, 28
34.12, 30
41.87, 25
42.40, 20
47.19, 22

---

No. 4
Starting from a DFT-relaxed cell (PBE, OQMD), the PXRD pattern of SrGeAu2Se2S2 was computed for Cu Ka.
Peak positions follow from Bragg's law for the DFT cell and can differ from measured ones.

Structural model:
```
SrGeAu2Se2S2
1.0
10.616 0.000 0.000
0.000 7.717 0.000
-3.964 0.000 5.216
Sr Ge Au Se S
2 2 4 4 4
direct
0.000 0.000 0.000
0.500 0.500 0.000
0.000 0.516 0.000
0.500 0.016 0.000
0.000 0.307 0.500
0.000 0.698 0.500
0.500 0.198 0.500
0.500 0.807 0.500
0.171 0.327 0.972
0.329 0.827 0.028
0.671 0.827 0.972
0.829 0.327 0.028
0.152 0.689 0.349
0.348 0.189 0.651
0.652 0.189 0.349
0.848 0.689 0.651
```

Top 10 peaks for 2θ = 10–90°, low angle first:
two_theta, I_rel
15.55, 49
17.25, 47
21.02, 83
28.78, 72
28.93, 100
34.40, 72
34.90, 52
36.51, 45
41.86, 50
42.21, 39

---

No. 5
Starting from a DFT-relaxed cell (PBE, OQMD), the PXRD pattern of TmGeTeAuS2 was computed for Cu Ka.
Peak positions follow from Bragg's law for the DFT cell and can differ from measured ones.

Structural model:
```
TmGeTeAuS2
1.0
1.982 -6.755 0.000
1.982 6.755 0.000
0.000 0.000 11.257
Tm Ge Te Au S
2 2 2 2 4
direct
0.000 0.000 0.000
0.000 0.000 0.500
0.243 0.757 0.750
0.757 0.243 0.250
0.109 0.891 0.250
0.891 0.109 0.750
0.421 0.579 0.250
0.579 0.421 0.750
0.371 0.629 0.048
0.371 0.629 0.452
0.629 0.371 0.548
0.629 0.371 0.952
```

Top 10 peaks for 2θ = 10–90°, low angle first:
two_theta, I_rel
13.11, 58
15.74, 23
28.32, 33
31.09, 100
31.80, 52
34.09, 43
38.62, 44
43.28, 34
45.79, 22
50.86, 29

---

No. 6
Starting from a DFT-relaxed cell (PBE, OQMD), the PXRD pattern of TlGeAu3S4 was computed for Cu Ka.
Peak positions follow from Bragg's law for the DFT cell and can differ from measured ones.

Structural model:
```
TlGeAu3S4
1.0
6.123 0.000 0.000
0.000 7.210 0.000
-1.847 0.000 10.089
Tl Ge Au S
2 2 6 8
direct
0.180 0.250 0.368
[Activity]
It remains to filter the entries further above: keep the lines with the word "angle".
[Reply]
Top 10 peaks for 2θ = 10–90°, low angle first:
Top 10 peaks for 2θ = 10–90°, low angle first:
Top 10 peaks for 2θ = 10–90°, low angle first:
Top 10 peaks for 2θ = 10–90°, low angle first:
Top 10 peaks for 2θ = 10–90°, low angle first: